This appeal from a decision of the Court of Appeal on 25 June 2009 ([2009] EWCA Civ 621) concerns the concept of direct discrimination under EU law, particularly in the area of “social assistance” under Regulation 1408/71, which coordinates national social security schemes insofar as they apply to workers and their families moving within the EU.

Mrs Patmalniece came to the UK in 2000 from Latvia, where she had worked for over 40 years and where she was receiving a state pension. Upon arrival she claimed asylum on the basis that her Russian origin would lead to persecution were she to return to Latvia.  By January 2004 her attempts to obtain refugee status failed.  She did not return to Latvia, however.  She was destitute but for her £50 a month state pension.

Shortly after, in May 2004, Lativa acceded to the EU.  Mrs Patmalniece then applied for State Pension Credit.  Her claim was refused on the basis that she had no right to reside (and so was not “habitually resident” in the UK, which was a condition of entitlement to the Credit): she is no longer a worker, was not self-employed, was not self-sufficient and nor was she a family member of such a person.

Given that all UK nationals have the right of abode in the UK under s 2(1) of the Immigration Act 1971, one question was (and remains) whether Mrs Patmalniece was discriminated against directly on nationality grounds, contrary to Article 3 of Regulation 1408/71, or whether the discrimination was indirect, which although prima facie contrary to Article 3 would allow the Secretary of State to advance a justification based on the protection of the public finances of the host state, there being (in the Secretary of State’s submission) no duty to afford access to social assistance to those who have no right of residence.

In the Court of Appeal, Moses LJ, with whom Lord Clarke of Stone-cum-Ebony MR and Sullivan LJ agreed, concluded that the discrimination was indirect rather than direct.  He said that the conditions for entitlement to State Pension Credit were not overtly based on the nationality of the claimant: the fact that nationals of other Member States may qualify precluded such a conclusion ([24]).

Unrelated to this text: calculated crystals >
A relaxed structure of Mg6TiSb, computed with GGA-PBE.

Cell lengths 5.051, 6.401, 10.738 Å; angles 90.00, 90.00, 90.00 degrees
Fractional coordinates of all 16 atoms:
1 Mg 0.500 0.757 0.919
2 Mg 0.000 0.752 0.084
3 Mg 0.000 0.000 0.833
4 Mg 0.500 0.500 0.165
5 Mg 0.500 0.243 0.919
6 Mg 0.500 0.743 0.419
7 Mg 0.500 0.257 0.419
8 Mg 0.000 0.252 0.584
9 Mg 0.000 0.500 0.333
10 Mg 0.500 0.000 0.665
11 Mg 0.000 0.248 0.084
12 Mg 0.000 0.748 0.584
13 Ti 0.500 0.500 0.669
14 Ti 0.500 0.000 0.169
15 Sb 0.000 0.500 0.826
16 Sb 0.000 0.000 0.326

Its formation energy is -3.3 kJ/mol of atoms. The calculated volume is 21.7 A^3/atom. The total energy comes out at -0.199 Ry per atom. The value obtained for the energy above the most stable polymorph in this dataset is 0 meV per atom. The MP2020-corrected energy comes out at -2.737 eV per atom.
Back to the text >

The Court also accepted the Secretary of State’s submissions that the indirect discrimination was based on considerations independent of nationality and were proportionate to a legitimate aim, namely that of protecting the resources of the UK.  Moses LJ held that the classification of State Pension Credit as a special non-contributory benefit (and therefore as falling within Article 10a(1) of Regulation 1408/71)  did not preclude reliance on that justification, which is also relevant to social assistance benefits (which themselves fall outwith the scope of Regulation 1408/71 by virtue of Article 4(4) thereof).  In his judgment, the fact that State Pension Credit was a “hybrid” benefit, sharing certain features of social security, did not trigger any entitlement to ‘export’ those benefits or indeed any entitlement whatever, and did not preclude reliance on the justification set out above.

The Supreme Court now has the opportunity to consider these difficult EU law issues, some of which arose in a similar context in Abdirahman v SoS for Work and Pensions [2008] 1 WLR 254 and Kaczmarek v SoS for Work and Pensions [2008] EWCA Civ 1310.  In all three cases pension credits were claimed and in all three the Court of Appeal held that the refusal to grant them was justified on the ground of protecting public finances: the difference in Patmalniece is that the applicant relied on the prohibition on nationality discrimination in Article 3 of Regulation 1408/71 rather than merely on the general prohibition contained in ex Article 12 EC (now Article 18 TFEU).

Generally, EU law does not recognise justifications based on economic grounds save where recognition of an EU law right would seriously risk undermining the financial balance of the social security system: see e.g. Case C-120/95 Decker [1998] ECR I-1831.  Here, however, the benefit is not one which is claimed in connection with the exercise of free movement of worker rights, and it is clear that the “right to reside” test was included squarely to prevent “benefit tourism”.  Is that enough to put the benefit in a separate category?  We shall soon find out.